Requiem, episode 6: the truth about Carys came out – but what happened to Hal, exactly?
This was a not wholly satisfactory conclusion to a frequently invigorating journey, although perhaps your feelings depend on how explicit you need your explanations. There were probably too many loose ends dangling to claim that creator Kris Mrksa stuck the landing completely successfully, but the main narrative of Matilda’s fate probably fell on the right side of ambiguous.
Above all, what a pleasure it was to see a small-screen horror executed with real verve and confidence, bolstered by some excellent performances from a clutch of occasionally undervalued television stalwarts (Brendan Coyle, Tara Fitzgerald, Claire Rushbrook) and a starmaking turn from Lydia Wilson.
Mary saved the day
Confirmation came first that Mary (or Janice, as we had known her) did indeed save young Carys, who even at that tender age was understandably terrified of mirrors as the portals through which the angels could move. Mary kept quiet about her escape because she didn’t know who to trust – wisely, as it turns out, with virtually everyone over 40 in up to their necks in some sort of conspiracy. A wild card she may have been, but Mary did her job diligently for 23 years before Matilda’s growing public profile brought her back to the attention of Sylvia and co via that television interview.
The most terrifying TV shows of all time
Hal discovered his appetite
Now this was baffling – in one of several unanswered conundrums left by the series, we encountered Hal alive, if not exactly well, and feasting on the entrails of the poor farmer’s sheep. Later, he pitched up on Trudy’s doorstep (not long after her own uneasy reconciliation with her errant pa), dazed and confused. What did it all mean? Are we to presume that the previous ovine massacre came courtesy of Sean, and that both were somehow possessed (aka ridden) by angels (Sean presumably via all the mirrors dangling in his corner of the woods)? And if so, to what end?
Kendrick’s loyalties remained a mystery
The parent sacrificing everything – including a sort of objective morality – for an ailing child is a familiar trope of television drama, but Brendan Coyle still played this brilliantly. Graves certainly suspected him of something dodgy, even if Aron denied Kendrick was involved in the drug racket (another plot strand left unresolved). Once we heard that he was spooked by the devilish music and wanted to clear up the smashed mirrors after Ewan’s suicide, it became clear Kendrick was deeply implicated, yet Coyle almost sold me with his deliciously ambiguous turn in the last episode. I confess that when the crank call into the station came while Matilda was in custody, the last thing I expected was for him to set her free and drive them to Dean House, rifle cocked. More fool me.
The trap slammed shut
Urged into the basement by Kendrick, Matilda found the coven in session: Sylvia, the Sacklows, Kendrick and the terminally gormless, deeply pathetic teaboy Nick, who was just following orders, m’lud (“they told me to watch you… I just wanted to get my money… they forced me to”). The long game had been played quite magnificently by Sylvia, with a series of lures (perhaps even going all the way back to a possessed Mary leaving out the photos of Rose in Wales, thus tempting Matilda back to Penllynith) proving irresistible to her quarry. Even Davey was deployed as little more than bait – a back-up plan if Matilda proved intransigent.
The explanation
Misplaced calculated crystals:
........
# 1
Compound: Tb3GdSi4
Source: the Open Quantum Materials Database
Functional: GGA-PBE
Structure: relaxed

Computed properties:
Total moment, μB per formula unit: 0.0
Space-group type: Pm
VASP energy, eV per formula unit: -46.87

Cell: 5.7369 3.8564 7.9584 Å, 90.00 90.02 90.00°
Sites, in units of the cell vectors:
Tb 0.0000 0.0000 0.0000
Tb 0.2300 0.5000 0.6419
Tb 0.5000 0.5000 0.1418
Gd 0.7300 0.0000 0.5000
Si 0.2436 0.0000 0.3587
Si 0.4864 0.0000 0.8589
Si 0.7436 0.5000 0.7832
Si 0.9866 0.5000 0.2829

---

# 2
Compound: AcInHg2
Source: the Open Quantum Materials Database
Functional: GGA-PBE
Structure: relaxed

Computed properties:
Total moment, μB per formula unit: 0.0
Space-group type: Pmmn
VASP energy, eV per formula unit: -9.22

Cell: 5.4060 7.7038 5.4071 Å, 90.00 90.00 90.00°
Sites, in units of the cell vectors:
Ac 0.2500 0.2500 0.2478
Ac 0.7500 0.7500 0.7522
In 0.2500 0.7500 0.2501
In 0.7500 0.2500 0.7499
Hg 0.2500 0.0001 0.7481
Hg 0.2500 0.4999 0.7481
Hg 0.7500 0.9999 0.2519
Hg 0.7500 0.5001 0.2519

---

# 3
Compound: KNaAsAu
Source: the Open Quantum Materials Database
Functional: GGA-PBE
Structure: relaxed

Computed properties:
Space-group type: F-43m
Relative energy among the computed polymorphs, eV/f.u.: 1.188

Cell: 5.0367 5.0367 5.0367 Å, 60.00 60.00 60.00°
Sites, in units of the cell vectors:
K 0.0000 0.0000 0.0000
Na 0.7500 0.7500 0.7500
As 0.2500 0.2500 0.2500
Au 0.5000 0.5000 0.5000

---

# 4
Compound: Ba2Pd17
Source: the Open Quantum Materials Database
Functional: GGA-PBE
Structure: relaxed

Computed properties:
Space-group type: R-3m
Relative energy among the computed polymorphs, eV/f.u.: 0.000

Cell: 7.0222 7.0222 7.0222 Å, 82.94 82.94 82.94°
Sites, in units of the cell vectors:
Ba 0.1591 0.1591 0.1591
Ba 0.8409 0.8409 0.8409
Pd 0.0000 0.5000 0.5000
Pd 0.1539 0.1539 0.6542
Pd 0.1539 0.6542 0.1539
Pd 0.2059 0.5000 0.7941
Pd 0.2059 0.7941 0.5000
Pd 0.3458 0.8461 0.8461
Pd 0.4013 0.4013 0.4013
Pd 0.5000 0.0000 0.5000
Pd 0.5000 0.2059 0.7941
Pd 0.5000 0.5000 0.0000
Pd 0.5000 0.7941 0.2059
Pd 0.5987 0.5987 0.5987
Pd 0.6542 0.1539 0.1539
Pd 0.7941 0.2059 0.5000
Pd 0.7941 0.5000 0.2059
Pd 0.8461 0.3458 0.8461
Pd 0.8461 0.8461 0.3458

---

# 5
Compound: YFeNiB
Source: the Open Quantum Materials Database
Functional: GGA-PBE
Structure: relaxed

Computed properties:
Total moment, μB per formula unit: 0.0
Space-group type: F-43m
Relative energy among the computed polymorphs, eV/f.u.: 0.486

Cell: 4.1879 4.1879 4.1879 Å, 60.00 60.00 60.00°
Sites, in units of the cell vectors:
Y 0.0000 0.0000 0.0000
Fe 0.7500 0.7500 0.7500
Ni 0.2500 0.2500 0.2500
B 0.5000 0.5000 0.5000

---

# 6
Compound: Ba2ZnTcS6
Source: the Open Quantum Materials Database
Functional: GGA-PBE
Structure: relaxed

Computed properties:
Total moment, μB per formula unit: 1.2
Space-group type: Fm-3m
VASP energy, eV per formula unit: -48.97

Cell: 6.8415 6.8415 6.8415 Å, 60.00 60.00 60.00°
Sites, in units of the cell vectors:
Ba 0.2500 0.2500 0.2500
Ba 0.7500 0.7500 0.7500
........
Sylvia, unsurprisingly, proved to be the brains of the operation and furnished a reasonably comprehensive explanation for the story so far. The poor waif taken from his alcoholic mother (Laura, conceivably?) had died after being given too much sedative, and so Carys was snatched. The ritual went off half-cocked, leaving Carys/Matilda with “something” still inside her, needing to get out.
Unbeknownst to her, that something was a trace of partially completed angelic possession; Carys had come pure of heart but not of her own will; Matilda could tick both boxes belatedly, if she took the leap. With the carrot of the truth being dangled, and the stick brandished of a mooted sectioning, a dead career, missing accompanist and comatose mother, Matilda couldn’t resist going into the cave. As she stepped in, the infamous five began the ritual.
Through the looking glass
I feared a low-budget take on 2001’s famously psychedelic Stargate sequence. What we got was altogether less ambitious and all the better for it. Through the cave was a well. Above the well was a full moon. In the well? A little girl, diabolical voices whispering “I’m your eye. Here I am.” The conduit, Matilda – her faces started to distort, her bones began to crack and her veins pulsed, before she levitated, possessed by an archangel, “a shard of the divine”. And then, a massacre.
The casualties
Matilda was found at a deserted Dean House, cradling Davey and apparently stricken with amnesia, but otherwise happier than she’s looked all series. She was reconciled with her birth parents, and her torment was over. Until, that is, she looked in the mirror, the eyes went black and the bones started creaking again…
As for who survived, we saw four graves at the end, all dug by Matilda if we judge from the dirt under her fingernails. One of the graves belonged to Kendrick: his watch poked out of the soil, and he was the only member of the coven who we saw getting stabbed. The Sacklows were likely occupying two of the others, after Sylvia’s dark warnings to both.
As for the fourth, that depends on whether you think Matilda was archangel or fallen angel: did she kill the unarguably evil Sylvia to put a stop to her misdeeds and spare useless Nick as the patsy he so clearly was (the tender brush of his cheek would suggest this)? Or did she follow Sylvia’s wishes, bumping off Nick and the others and keeping Sylvia to serve at her right hand?
Either way, it’s clear the cultists underestimated the power of the entity they were summoning, having more or less successfully controlled lesser beings in the past. Once summoned, it’s not clear what use the archangel/Matilda would have had for this hubristic bunch. As an aside, the archangel clearly came blessed with super-fast cleaning powers, given the mess the murders must have made. Graves certainly eyed that mop with suspicion.
The future
Supposedly this was conceived as a two-series show, although it’s difficult to imagine six more episodes being squeezed out of it. Where would Requiem go from here? Hal, Trudy and PC Graves teaming up to tame Evil Matilda? Matilda becoming an avenging angel, roaming north Wales and righting wrongs? On balance, I think I favour the idea of this remaining a cultish one-season oddity, destined for rediscovery in years to come.